Let’s say your office, like many, plans to host a holiday potluck and that you have agreed to bring a dessert. Since you’re no baker, you’ve expected to purchase the dessert from a local bakery. But you notice one bakery preselling the perfect holiday cake. In order to entice customers to preorder, the bakery offered one of two promotions: $5 off the $20 item or a free, special pastry worth about the same amount of money. Customers were willing to take either offer at about the same rate if they only had to wait three days for their preordered pastry, but when offered the discount, significantly fewer people preordered the pastry when the wait time increased to three weeks. On the other hand, more customers were willing to preorder when they were offered the extra dessert even with the increased wait time.
The above scenario underscores the relevant insights of Scot Burton, Amaradri Mukherjee, and Ronn J. Smith’s findings: customers are willing to delay the gratification of their purchases via preorders, especially when they are offered something that they can savor in the meantime.
In their study, “The Effect of Positive Anticipatory Utility on Product Pre-Order Evaluation and Choices”, the authors note that prior research has found that consumers tend to prefer immediate consumption. Although they warn that retailers and manufacturers probably ought to avoid delaying delivery after purchase whenever possible, customers can still be encouraged to preorder and then wait especially with non-monetary promotions such as a free gift.
~~~
! Er3C4 PBE-GGA optimized geometry; values from VASP
! crystal system = tetragonal
! E_tot = -7.579 eV/atom
! formation energy from the elements = -0.3477 eV per atom
&SYSTEM
  ibrav = 0, nat = 70, ntyp = 2
/
ATOMIC_SPECIES
C 12.01 C.upf
Er 167.26 Er.upf
ATOMIC_POSITIONS crystal
C 0.8934 0.6964 0.0000
C 0.5986 0.8077 0.8282
C 0.8077 0.4014 0.1718
C 0.1923 0.5986 0.8282
C 0.6923 0.9014 0.3282
C 0.4014 0.1923 0.1718
C 0.1964 0.3934 0.5000
C 0.9014 0.3077 0.6718
C 0.6496 0.8504 0.2500
C 0.0986 0.6923 0.3282
C 0.6066 0.1964 0.5000
C 0.3036 0.8934 0.0000
C 0.8036 0.6066 0.5000
C 0.6964 0.1066 0.0000
C 0.3934 0.8036 0.5000
C 0.3504 0.1496 0.2500
C 0.5000 0.5000 0.3435
C 0.8077 0.4014 0.8282
C 0.3077 0.0986 0.6718
C 0.5000 0.5000 0.0414
C 0.1496 0.6496 0.7500
C 0.1923 0.5986 0.1718
C 0.5000 0.5000 0.9586
C 0.0000 0.0000 0.5414
C 0.0000 0.0000 0.4586
C 0.8504 0.3504 0.2500
C 0.3504 0.1496 0.7500
C 0.8504 0.3504 0.7500
C 0.6496 0.8504 0.7500
C 0.6923 0.9014 0.6718
C 0.0986 0.6923 0.6718
C 0.0000 0.0000 0.8435
C 0.4014 0.1923 0.8282
C 0.0000 0.0000 0.1565
C 0.9014 0.3077 0.3282
C 0.5986 0.8077 0.1718
C 0.1066 0.3036 0.0000
C 0.5000 0.5000 0.6565
C 0.1496 0.6496 0.2500
C 0.3077 0.0986 0.3282
Er 0.9046 0.2975 0.5000
Er 0.1006 0.2881 0.1463
Er 0.5000 0.5000 0.5000
Er 0.5000 0.5000 0.8125
Er 0.2881 0.8994 0.1463
Er 0.0954 0.7025 0.5000
Er 0.1006 0.2881 0.8537
Er 0.7119 0.1006 0.8537
Er 0.7881 0.6006 0.6463
Er 0.5000 0.5000 0.1875
Er 0.8994 0.7119 0.1463
Er 0.2119 0.3994 0.3537
Er 0.2119 0.3994 0.6463
Er 0.4046 0.2025 0.0000
Er 0.0000 0.0000 0.3125
Er 0.3994 0.7881 0.6463
Er 0.7975 0.4046 0.0000
Er 0.7881 0.6006 0.3537
Er 0.2881 0.8994 0.8537
Er 0.5954 0.7975 0.0000
Er 0.3994 0.7881 0.3537
Er 0.2975 0.0954 0.5000
Er 0.8994 0.7119 0.8537
Er 0.7119 0.1006 0.1463
Er 0.7025 0.9046 0.5000
Er 0.6006 0.2119 0.3537
Er 0.6006 0.2119 0.6463
Er 0.0000 0.0000 0.0000
Er 0.0000 0.0000 0.6875
Er 0.2025 0.5954 0.0000
CELL_PARAMETERS angstrom
-4.0918 2.6751 -6.3674
-6.6091 -3.6651 2.7073
-3.9604 13.0812 8.0407

----------

[1]
{
  "formula": "HgWO4",
  "functional": "PBE with a Hubbard U",
  "state": "optimized geometry",
  "lattice_angstrom": [[-7.392, 0.793, -0.520], [-0.381, -5.848, -3.491], [-1.811, -12.010, 7.428]],
  "species": ["O", "O", "O", "O", "O", "O", "O", "O", "O", "O", "O", "O", "O", "O", "O", "O", "O", "O", "O", "O", "O", "O", "O", "O", "O", "O", "O", "O", "O", "O", "O", "O", "Hg", "Hg", "Hg", "Hg", "Hg", "Hg", "Hg", "Hg", "W", "W", "W", "W", "W", "W", "W", "W"],
~~~
For example, when deciding whether to preorder a new DSLR camera worth $380, the researchers offered participants a gift, a $95 telephoto lens, or a monetarily equivalent discount of 25% off. If the wait time was a week, there was no significant difference between either promotion, and purchase intentions were nearly equivalent. But when asked to wait nine weeks, many fewer participants were encouraged to preorder the camera with only a discount, whereas the free lens protected against whatever negative feelings the participants felt due to being asked to wait longer for their preorder. Furthermore, participants reported similar purchase intentions between both wait times.
Retailers should take notice of how consumers’ anticipation convinces them to preorder a product, especially as preordering becomes an increasingly important promotional strategy – the researchers note a more than 46% growth in 2020 over 2019! Even with the pandemic keeping us home and directing event and vacation dollars to tangible goods, this seems to be a continuing trend. In 2015, the first generation of the Apple Watch garnered 1 million preorders on the first day it was available compared to the first generation of the iPhone and the iPad, which had 270,000 and 300,000 on their first days!
To convert a preorder, anticipating the product seemingly needs to be part of consuming the product. As Burton, Mukherjee, and Smith argue, consumers can find value in waiting just as they value the functionality of the product.
As noted above, for a short delay between the preorder of a product and its delivery, the researchers found that both monetary discounts and free gifts seemed to reduce the negative feelings associated with waiting – it earned them either a 25% discount or a free lens. But for longer wait times, something changed. Customers no longer valued the discount in the same way. They valued the lens more.
Indeed, the promotional, fiscal incentives are by nature utilitarian and cognitive, so consumers tend to reflect on the value of waiting in a more objective stance and are, the researchers argue, less willing to wait because they recognize what they are foregoing. Experiential products, like that gift or a sweepstakes, can induce positive feelings of anticipation that waiting can sap away, inserting fun and excitement where there was once only a yawning expanse of time to fill.
Hype and Desire
Excitement can come from the product itself as well. Products with a strong emotional or experiential charge are considered hedonistically positioned; they are marketed based on what it’s like to own them and be seen using them, like Apple products or luxury fashion brands. These kinds of products are juxtaposed against utilitarian goods, which are marketed specifically by their functional purpose. A store’s own private brand, such as Walmart’s Mainstay line, often typifies utilitarian positioned products. These products simply serve a functional purpose and usually do not generate high levels of excitement in users.
To explore how hedonistically positioned products affected preordering, the researchers had participants evaluate preordering headphones based on their color options and the material they’re made of as well as based upon the functionality of the product, such as the ease of charging it.
Consumers seem to be equally willing to preorder utilitarian and hedonistic products at only a week out, but at nine weeks between order and delivery, the intentions to preorder the utilitarian product drop off. The purchase intentions around hedonistically positioned goods’ preorders, however, remained consistent because consumers could be placated during the wait by imagining what it would be like once they finally had the product.
Moreover, the researchers note, price discounts at times may diminish consumers’ perception of a product’s quality. They suggest, instead, that retailers should use promotions that don’t affect the perceived quality of the product, such as special in-game gifts for video game preorders that add to the perceived value of the product without game producers needing to functionally change the game for preorders or contract to manufacture costly merchandise.
In fact, the research supports earlier findings that predict consumers are willing to pay more for products that are positioned as luxury or hedonistic. A price discount may, therefore, be undermining sales goals because it would diminish the cachet of owning a luxury good. For example, I’ve long trained in jiujitsu and I know the value of having high-quality apparel for training and matches. I know for sure that I wouldn’t spend almost $300 for a gi from Shoyoroll or A&P if I could just wait around for a discount!
Likewise, when a product has favorable buzz, consumers are more likely to preorder it as well. Just knowing that they will eventually get that hot new product keeps them excited over the waiting period. There might be a lot of noise to cut through on the internet, but Burton, Mukherjee, and Smith’s research suggests there is a lot to be gained by companies who can successfully make their products go viral.
So, when you need customers to preorder your products or services, as this research suggests, you should get them excited by enhancing the anticipation of ownership, so they’re not disappointed when they inevitably need to wait.
**Misplaced crystal structures**
~~~
(1)
# BaV2Ni2O8

A geometry-optimized BaV2Ni2O8 structure (PBE with a Hubbard U, the Materials Project database).

**DFT total energy**: -6.676 eV/atom
**ρ**: 4.655 g/cm3
**Calculated formation energy**: -2.2717 eV/atom

Lattice parameters (Å, degrees): 8.2513 8.2513 8.2513 35.91 35.91 35.91
Closest atoms and distances in Å follow each position.
Sites, in units of the cell vectors:
Ba 0.0000 0.0000 0.0000  12 O 2.97-3.13
V 0.4258 0.4258 0.4258  4 O 1.70-1.77
V 0.5742 0.5742 0.5742  4 O 1.70-1.77
Ni 0.1694 0.1694 0.1694  6 O 2.08
Ni 0.8306 0.8306 0.8306  6 O 2.08
O 0.1221 0.4367 0.7857  1 V 1.77
O 0.2143 0.8779 0.5633  1 V 1.77
O 0.3525 0.3525 0.3525  1 V 1.70
O 0.4367 0.7857 0.1221  1 V 1.77
O 0.5633 0.2143 0.8779  1 V 1.77
O 0.6475 0.6475 0.6475  1 V 1.70
O 0.7857 0.1221 0.4367  1 V 1.77
O 0.8779 0.5633 0.2143  1 V 1.77



(2)
# Na2Co2Si8H72C24N4O

A geometry-optimized Na2Co2Si8H72C24N4O structure (PBE with a Hubbard U, the Materials Project database).

**DFT total energy**: -5.204 eV/atom
**ρ**: 1.071 g/cm3
**Calculated formation energy**: -0.2449 eV/atom

Lattice parameters (Å, degrees): 9.3300 11.1234 13.3529 96.86 108.72 99.36
Closest atoms and distances in Å follow each position.
Sites, in units of the cell vectors:
Na 0.0786 0.2109 0.0551  1 O 2.29
Na 0.9214 0.7891 0.9449  1 O 2.29
Co 0.1117 0.9815 0.1443  1 O 1.93, 2 N 2.03
Co 0.8883 0.0185 0.8557  1 O 1.93, 2 N 2.03
Si 0.0870 0.2457 0.7954  1 N 1.75, 3 C 1.88-1.89
Si 0.1833 0.2067 0.3412  1 N 1.75, 3 C 1.88-1.89
Si 0.2074 0.7176 0.1616  1 N 1.74, 3 C 1.88-1.90
Si 0.4363 0.1832 0.2487  1 N 1.75, 3 C 1.88-1.89
Si 0.5637 0.8168 0.7513  1 N 1.75, 3 C 1.88-1.89
Si 0.7926 0.2824 0.8384  1 N 1.74, 3 C 1.88-1.90
Si 0.8167 0.7933 0.6588  1 N 1.75, 3 C 1.88-1.89
Si 0.9130 0.7543 0.2046  1 N 1.75, 3 C 1.88-1.89
H 0.0087 0.6085 0.3293  1 C 1.10
H 0.0141 0.6773 0.7502  1 C 1.10
H 0.0460 0.5009 0.0855  1 C 1.10
H 0.0642 0.7465 0.6501  1 C 1.10
H 0.0647 0.7645 0.3994  1 C 1.10
H 0.0986 0.8392 0.7766  1 C 1.10
H 0.1131 0.1194 0.4874  1 C 1.10
H 0.1158 0.0430 0.7083  1 C 1.10
H 0.1255 0.5246 0.2289  1 C 1.10
H 0.1291 0.3195 0.6362  1 C 1.10
H 0.1355 0.0007 0.3949  1 C 1.09
H 0.1797 0.6715 0.9665  1 C 1.10
H 0.2071 0.4589 0.9110  1 C 1.09
H 0.2166 0.0724 0.8504  1 C 1.10
H 0.2458 0.5017 0.1519  1 C 1.10
H 0.2552 0.3858 0.4897  1 C 1.10
H 0.2837 0.8265 0.0259  1 C 1.10
H 0.2948 0.1513 0.7655  1 C 1.10
H 0.2991 0.3439 0.9715  1 C 1.10
H 0.3013 0.1019 0.4923  1 C 1.10
H 0.3043 0.4351 0.3812  1 C 1.10
H 0.3169 0.8602 0.6326  1 C 1.10
H 0.3401 0.3965 0.8620  1 C 1.10
H 0.3587 0.7613 0.3580  1 C 1.10
H 0.3647 0.6388 0.7494  1 C 1.10
H 0.3757 0.0892 0.0558  1 C 1.10
H 0.3756 0.7000 0.0506  1 C 1.10
H 0.3970 0.7682 0.5560  1 C 1.10
H 0.4218 0.8732 0.8714  1 C 1.10
H 0.4254 0.3554 0.4698  1 C 1.10
H 0.4394 0.8687 0.2919  1 C 1.10
H 0.4518 0.3754 0.1654  1 C 1.10
H 0.4631 0.9917 0.1433  1 C 1.10
H 0.4730 0.7155 0.2822  1 C 1.10
H 0.4761 0.9299 0.5984  1 C 1.10
H 0.4946 0.5839 0.6921  1 C 1.09
~~~
Current events make clear the importance of Burton, Mukherjee, and Smith’s research. The global pandemic has induced havoc on global supply chains, increasing wait times for all sorts of goods – luxury and essential. Corporations are thus confronted with an opportunity (and perhaps a necessity) to reconsider how to efficiently provide consumers with the goods and services they need. Given the shortages created by the pandemic, it is more important than ever that companies learn how to get customers in line for products and keep them excited during longer and longer wait periods.